The reader should retype the lines below up to the one that holds "4.4979 0.32", that line included.

ORCA calculation (ωB97M-V/def2-TZVPD) on a 2-piece molecular cluster, C11H13BNO4 overall.

Atoms and positions in Å:
C  -1.93613  -1.96104  0.20235
C  -0.53460  -0.32740  -1.01435
O  -1.12304  -2.91451  0.66176
H  1.24065  4.38919  -3.01752
O  1.59653  -2.72665  2.96004
C  -0.09095  -2.46844  1.52562
C  0.78534  -3.55164  2.16424
H  0.65544  -1.79683  1.07218
H  0.53657  4.45787  -4.64336
H  0.09209  2.93007  -0.41328
C  -1.20171  1.70609  0.76533
H  2.29888  4.44841  -4.43994
C  -0.33773  1.94196  -0.29770
N  1.33806  1.46458  -4.13430
H  0.21870  -4.26315  2.76400
H  1.21639  -0.45237  2.82670
C  1.35878  4.06391  -4.04952
H  -0.27633  -1.13921  -1.67708
H  0.68182  1.11203  -2.02098
H  1.39833  -3.98043  1.36262
H  -2.40590  0.20513  1.75598
C  -0.00066  0.94393  -1.20126
B  0.77588  -1.50280  3.31061
C  1.35673  2.60827  -4.10823
C  -1.73879  0.44034  0.94400
H  0.59779  -1.34854  4.51573
O  -3.05146  -2.21955  -0.15315
C  -1.39872  -0.56633  0.05024
H  -1.43013  2.49379  1.46657
O  -0.55563  -1.79837  2.64128

E_HOMO	-4.1	eV
LUMO level	2.24	eV
net charge	-1
HOMO-LUMO gap	6.289	eV

Results of the Löwdin charge analysis, in e, for atoms 1 through 2:
1 C -0.460
2 C -0.018

=====

<w>
DFT (wB97M-V/def2-TZVPD) results for a 2-piece molecular cluster, C3H10NS overall.

```
15
Properties=species:S:1:pos:R:3:mulliken_charge:R:1
C -0.5979 -0.8017 -1.5978 -0.26
N 0.5318 -1.4105 -1.9971 -0.28
H -1.0721 -1.0751 -0.6910 0.51
H -0.9061 0.1616 -2.2489 0.28
H 0.8202 -2.3418 -1.8940 0.30
H 1.1880 -0.8969 -2.5750 0.28
C -1.0176 0.9057 1.5094 -1.25
C 0.4461 0.7376 1.2344 -0.17
S 0.9845 -0.5497 0.2995 -0.29
H -1.5593 1.3001 0.6728 0.36
H -1.7623 0.0791 1.7592 0.35
H -1.2007 1.6490 2.3795 0.29
H 0.9537 0.8501 2.1264 0.43
H 0.8701 1.7357 0.6695 0.27
H 2.3217 -0.3433 0.3529 0.20
```

Kohn-Sham gap, Ha: 0.2532
Total charge: +1
2S+1: 1
E_HOMO, eV: -13.00



<x>
DFT (wB97M-V/def2-TZVPD) results for a 2-piece molecular cluster, C3H10NS overall.

```
15
Properties=species:S:1:pos:R:3:mulliken_charge:R:1
C -2.1421 -0.6491 -0.0301 -1.29
C -0.7226 -0.2924 -0.4023 0.11
C 0.2000 -0.7545 0.9615 -0.42
S 1.7685 -0.5858 0.3536 0.15
N -0.5585 1.0412 -0.7240 -0.31
H -2.8579 -0.6523 -0.8395 0.34
H -2.1309 -1.6391 0.4471 0.38
H -2.4721 0.0257 0.7700 0.40
H -0.4638 -0.8767 -1.2830 0.35
H 0.0402 -1.8052 1.1929 0.37
H -0.1879 -0.1235 1.7481 0.40
H 5.0787 1.3756 -0.8230 -0.05
H -1.1530 1.7539 -0.3402 0.26
H 0.3835 1.3448 -0.7712 0.25
H 5.2180 1.8372 -0.2599 0.05
```

Kohn-Sham gap, Ha: 0.2323
Total charge: +1
2S+1: 1
E_HOMO, eV: -15.01



How do the energies compare? Relative to the most stable structure, in kcal/mol: <w> 0.0; <x> 17.4.



<w>
DFT (wB97M-V/def2-TZVPD) results for a 2-piece molecular cluster, C3H11NOS overall.

```
17
Properties=species:S:1:pos:R:3:mulliken_charge:R:1
N -1.0562 -0.8663 1.5467 -0.61
C -1.0237 0.3370 0.6051 -0.50
C -0.7606 -0.1146 -0.8206 -0.32
C -1.0671 1.0837 -1.7225 -0.87
S 0.3336 1.2557 -3.0332 -0.23
H -1.1690 -0.4562 2.4587 0.20
H -0.4033 -1.6169 1.4073 0.19
H -2.0066 0.7614 0.8623 0.28
H -0.2980 0.9894 1.0610 0.29
H 0.2759 -0.4095 -0.9559 0.35
H -1.3174 -1.0458 -1.0145 0.36
H -1.2495 2.0443 -1.2223 0.38
H -1.9698 0.9088 -2.3159 0.33
H -0.5334 0.4697 -3.7582 0.15
O 2.7880 -2.3873 5.2648 -0.65
H 2.3487 -2.2171 6.1149 0.32
H 2.2445 -2.1625 4.4979 0.32
```

Kohn-Sham gap, Ha: 0.3559
2S+1: 1
Structure (SMILES): NCCCS.O
E_HOMO, eV: -9.06



<x>
DFT (wB97M-V/def2-TZVPD) results for a 2-piece molecular cluster, C3H11NOS overall.

```
17
Properties=species:S:1:pos:R:3:mulliken_charge:R:1
N -1.7184 1.3917 1.2531 -0.63
C -1.1747 0.3813 0.3611 -0.29
C 0.0583 0.8920 -0.4001 -0.37
C 0.8554 -0.2583 -0.9887 -0.80
S 2.3835 0.2657 -1.8574 -0.21
H -2.5106 1.0048 1.7394 0.26
H -1.0479 1.6631 1.9613 0.22
H -1.9551 0.1841 -0.3820 0.29
H -0.9044 -0.5575 0.8599 0.13
H 0.7028 1.4720 0.2748 0.34
H -0.2449 1.5952 -1.1725 0.26
H 1.1630 -0.9461 -0.2051 0.34
H 0.2709 -0.8410 -1.7083 0.34
H 3.0916 0.4390 -0.7374 0.11
O -2.4975 -2.1039 2.5761 -0.65

ORCA calculation (ωB97M-V/def2-TZVPD) on a 2-piece molecular cluster, C11H13BNO4 overall.

Atoms and positions in Å:
C  -1.93613  -1.96104  0.20235
C  -0.53460  -0.32740  -1.01435
O  -1.12304  -2.91451  0.66176
H  1.24065  4.38919  -3.01752
O  1.59653  -2.72665  2.96004
C  -0.09095  -2.46844  1.52562
C  0.78534  -3.55164  2.16424
H  0.65544  -1.79683  1.07218
H  0.53657  4.45787  -4.64336
H  0.09209  2.93007  -0.41328
C  -1.20171  1.70609  0.76533
H  2.29888  4.44841  -4.43994
C  -0.33773  1.94196  -0.29770
N  1.33806  1.46458  -4.13430
H  0.21870  -4.26315  2.76400
H  1.21639  -0.45237  2.82670
C  1.35878  4.06391  -4.04952
H  -0.27633  -1.13921  -1.67708
H  0.68182  1.11203  -2.02098
H  1.39833  -3.98043  1.36262
H  -2.40590  0.20513  1.75598
C  -0.00066  0.94393  -1.20126
B  0.77588  -1.50280  3.31061
C  1.35673  2.60827  -4.10823
C  -1.73879  0.44034  0.94400
H  0.59779  -1.34854  4.51573
O  -3.05146  -2.21955  -0.15315
C  -1.39872  -0.56633  0.05024
H  -1.43013  2.49379  1.46657
O  -0.55563  -1.79837  2.64128

E_HOMO	-4.1	eV
LUMO level	2.24	eV
net charge	-1
HOMO-LUMO gap	6.289	eV

Results of the Löwdin charge analysis, in e, for atoms 1 through 2:
1 C -0.460
2 C -0.018

=====

<w>
DFT (wB97M-V/def2-TZVPD) results for a 2-piece molecular cluster, C3H10NS overall.

```
15
Properties=species:S:1:pos:R:3:mulliken_charge:R:1
C -0.5979 -0.8017 -1.5978 -0.26
N 0.5318 -1.4105 -1.9971 -0.28
H -1.0721 -1.0751 -0.6910 0.51
H -0.9061 0.1616 -2.2489 0.28
H 0.8202 -2.3418 -1.8940 0.30
H 1.1880 -0.8969 -2.5750 0.28
C -1.0176 0.9057 1.5094 -1.25
C 0.4461 0.7376 1.2344 -0.17
S 0.9845 -0.5497 0.2995 -0.29
H -1.5593 1.3001 0.6728 0.36
H -1.7623 0.0791 1.7592 0.35
H -1.2007 1.6490 2.3795 0.29
H 0.9537 0.8501 2.1264 0.43
H 0.8701 1.7357 0.6695 0.27
H 2.3217 -0.3433 0.3529 0.20
```

Kohn-Sham gap, Ha: 0.2532
Total charge: +1
2S+1: 1
E_HOMO, eV: -13.00



<x>
DFT (wB97M-V/def2-TZVPD) results for a 2-piece molecular cluster, C3H10NS overall.

```
15
Properties=species:S:1:pos:R:3:mulliken_charge:R:1
C -2.1421 -0.6491 -0.0301 -1.29
C -0.7226 -0.2924 -0.4023 0.11
C 0.2000 -0.7545 0.9615 -0.42
S 1.7685 -0.5858 0.3536 0.15
N -0.5585 1.0412 -0.7240 -0.31
H -2.8579 -0.6523 -0.8395 0.34
H -2.1309 -1.6391 0.4471 0.38
H -2.4721 0.0257 0.7700 0.40
H -0.4638 -0.8767 -1.2830 0.35
H 0.0402 -1.8052 1.1929 0.37
H -0.1879 -0.1235 1.7481 0.40
H 5.0787 1.3756 -0.8230 -0.05
H -1.1530 1.7539 -0.3402 0.26
H 0.3835 1.3448 -0.7712 0.25
H 5.2180 1.8372 -0.2599 0.05
```

Kohn-Sham gap, Ha: 0.2323
Total charge: +1
2S+1: 1
E_HOMO, eV: -15.01



How do the energies compare? Relative to the most stable structure, in kcal/mol: <w> 0.0; <x> 17.4.



<w>
DFT (wB97M-V/def2-TZVPD) results for a 2-piece molecular cluster, C3H11NOS overall.

```
17
Properties=species:S:1:pos:R:3:mulliken_charge:R:1
N -1.0562 -0.8663 1.5467 -0.61
C -1.0237 0.3370 0.6051 -0.50
C -0.7606 -0.1146 -0.8206 -0.32
C -1.0671 1.0837 -1.7225 -0.87
S 0.3336 1.2557 -3.0332 -0.23
H -1.1690 -0.4562 2.4587 0.20
H -0.4033 -1.6169 1.4073 0.19
H -2.0066 0.7614 0.8623 0.28
H -0.2980 0.9894 1.0610 0.29
H 0.2759 -0.4095 -0.9559 0.35
H -1.3174 -1.0458 -1.0145 0.36
H -1.2495 2.0443 -1.2223 0.38
H -1.9698 0.9088 -2.3159 0.33
H -0.5334 0.4697 -3.7582 0.15
O 2.7880 -2.3873 5.2648 -0.65
H 2.3487 -2.2171 6.1149 0.32
H 2.2445 -2.1625 4.4979 0.32